Tuesday, February 10, 2015

152 (2014-2015): Review of APPLICATION PENDING (February 6, 2015)

**Misplaced molecular data**
-- begin --
Record 1
Molecular formula: C14H21CoF4N2OS
Method: DFT, ωB97M-V/def2-TZVPD

```
44
Properties=species:S:1:pos:R:3:forces:R:3:lowdin_spin:R:1
Co 0.370392 0.924731 -0.941557 -0.063 0.132 0.675 2.775
C -2.192520 -0.369119 -2.569200 0.050 -0.024 0.004 0.002
C -2.701416 0.755179 -1.690986 -0.032 0.018 0.053 0.003
N -1.780034 1.144875 -0.601226 -0.072 0.079 -0.100 0.068
C -2.086056 2.531135 -0.156882 0.037 -0.033 0.051 0.000
C -1.865330 3.621803 -1.189823 -0.009 -0.003 0.016 0.003
C -1.938366 0.242433 0.556829 0.096 0.037 -0.078 0.005
C -0.893724 0.507999 1.642160 0.050 0.047 0.091 0.008
N 0.404699 0.779569 1.032699 -0.207 -0.452 -0.374 0.069
C 1.519021 0.349663 1.681657 0.109 0.142 -0.069 0.009
C 2.686026 0.088156 0.936285 -0.189 0.001 0.051 0.007
F 2.606148 0.275887 -0.412654 0.088 0.034 -0.030 0.031
C 3.857631 -0.373802 1.479034 0.001 0.012 0.061 0.000
F 4.895723 -0.627611 0.665738 -0.006 0.000 -0.008 0.000
C 3.971830 -0.594931 2.840849 0.066 -0.012 -0.097 0.007
C 2.857798 -0.320630 3.602947 -0.112 0.035 0.095 0.000
F 2.915940 -0.485005 4.934310 0.006 -0.003 -0.018 -0.001
C 1.672807 0.144037 3.061248 0.058 -0.017 0.053 0.007
F 0.670205 0.453895 3.910117 -0.016 -0.010 -0.008 0.002
H -2.898512 -0.548479 -3.380966 -0.012 0.003 0.014 0.000
H -2.076101 -1.304608 -2.026007 0.021 -0.068 0.044 0.000
H -1.231891 -0.106899 -3.016036 0.007 0.008 -0.003 0.001
H -3.672400 0.491264 -1.250146 -0.012 0.028 -0.021 0.002
H -2.861465 1.629862 -2.314513 0.023 -0.007 -0.013 0.000
H -1.443804 2.729745 0.699663 -0.007 0.031 -0.006 0.000
H -3.125799 2.547456 0.201083 0.005 -0.001 0.009 0.002
H -0.846327 3.595704 -1.571356 0.005 -0.003 -0.015 0.001
H -2.037333 4.584123 -0.705900 0.020 0.006 -0.002 0.000
H -2.555797 3.561096 -2.030178 -0.006 0.014 0.002 0.000
H -1.828233 -0.782018 0.195168 0.014 -0.010 -0.036 0.001
H -2.952141 0.345477 0.966877 0.015 -0.033 0.041 0.002
H -0.857577 -0.386253 2.270638 -0.023 0.019 0.018 0.002
H -1.224809 1.325595 2.289697 0.006 0.002 0.020 0.000
H 4.887464 -0.949910 3.287700 0.008 -0.002 -0.016 0.000
O 0.751932 2.102407 -2.020009 0.074 -0.035 -0.374 0.964
C -0.314251 -3.450693 -0.930062 -0.019 0.001 -0.052 0.005
S 0.708915 -1.972651 -0.997698 0.039 0.051 0.063 0.023
C 2.307207 -2.707867 -1.375352 -0.005 0.012 -0.039 0.003
H -0.307406 -3.976645 -1.883836 -0.007 0.006 0.002 0.000
H -1.333605 -3.146799 -0.699989 -0.013 0.011 0.004 0.000
H 0.038462 -4.108428 -0.137326 0.006 -0.010 -0.009 0.001
H 2.641565 -3.327774 -0.545136 -0.003 -0.009 0.000 0.000
H 3.012527 -1.893348 -1.519853 0.003 -0.002 0.005 0.000
H 2.248624 -3.298636 -2.287994 0.006 0.004 -0.005 0.000
```
Positions in Å, forces in eV/Å.

Properties
Spin multiplicity: 5
Relative energy (zero: lowest compared OMol25 entry of this formula, charge and spin), kJ/mol: 0.0
Orbital gap (alpha / beta), eV: 7.950 / 7.718
HOMO energy (alpha / beta), eV: -7.6 / -7.7
⟨S²⟩: 6.023


Record 2
Molecular formula: C14H21CuN3SSb
Method: DFT, ωB97M-V/def2-TZVPD

```
41
-- stop --

"Application Approved"

Proof that the Internet can help rocket someone to stardom can be found in the career of Christine Bianco, a petite actress-singer-impressionist whose YouTube videos often show her rapidly transforming from one famous diva to another. Go ahead, Google her! (She's also performed in FORBIDDEN BROADWAY.) Her notable gift for chameleonlike characterizations is the impetus for APPLICATION PENDING, an 80-minute, one-woman farce by Greg Edwards and Andy Sandberg, directed by Mr. Sandberg, in which she plays all of the 40 or so characters, male and female, old and young (including children), and almost all of them non-singing.
Christina Bianco. Photo: Joan Marcus.
APPLICATION PENDING, at the Westside Theatre (Downstairs), satirizes the crazy desperation of parents trying to get their kids into a kindergarten at Edgely Preparatory Academy, an exclusive private school in Manhattan. The play is set in a well-appointed office (nicely designed by Colin McGurk and lit by Jeff Croiter), where it’s the first day on the job for the new pre-primary admissions officer, Christine, a sweet young divorcĂ©e with a little boy of her own, a Catholic parochial school pre-K student. 
Christina Bianco. Photo: Joan Marcus.
Soon, the phones (the one in the office and Christine’s cell) are ringing off the hook as one parent after the other calls to persuade Christine to accept their child, using a succession of nutty ruses, and even engaging in warlike strategies against other parents. Meanwhile, Christine has to deal with the Mother Superior at her son’s school, Edgely’s sports coach, a government investigator, her creep of an ex-husband, a snotty rival admissions officer at another school, two gay fathers with a kid named Sutton Lupone Garcia, and a host of others. One is the cruelly demanding headmaster, Mr. Bradshaw, who insists—despite Christine’s other responsibilities and her plea that she needs to spend the time with her son—that she be responsible for a big school banquet that evening and who threatens to fire her if she doesn’t come through.

[Someone pasted molecular data at this point]
+++
No. 1
Here is a cluster of 2 separate species, C31H32BF9O2 in total at a distorted geometry from the OMol25 dataset. Energies are from ωB97M-V with the def2-TZVPD basis set.

Geometry as XYZ:
```
75
Properties=species:S:1:pos:R:3
C 2.271 2.146 4.441
C 2.913 2.533 3.088
C 1.839 2.936 2.066
C 4.102 3.462 3.229
C 5.326 2.765 2.594
C 6.171 2.027 3.426
C 7.159 1.200 2.900
C 7.282 1.105 1.518
C 8.378 0.270 0.915
F 7.937 -0.459 -0.161
F 8.918 -0.621 1.796
F 9.404 1.061 0.460
C 6.432 1.799 0.666
C 5.450 2.631 1.213
C 3.827 4.901 2.790
C 4.546 5.603 1.825
C 4.062 6.817 1.323
C 2.889 7.347 1.856
C 2.330 8.641 1.336
F 1.288 9.101 2.095
F 3.289 9.622 1.334
F 1.865 8.539 0.049
C 2.231 6.728 2.912
C 2.758 5.550 3.418
H 2.979 1.580 5.060
H 1.925 3.015 5.019
H 1.409 1.486 4.266
H 3.296 1.572 2.696
H 2.266 3.040 1.058
H 1.076 2.144 2.032
H 1.339 3.878 2.324
H 4.326 3.531 4.307
H 6.039 2.105 4.506
H 7.811 0.641 3.559
H 6.526 1.699 -0.419
H 4.772 3.157 0.541
H 5.483 5.207 1.437
H 4.576 7.324 0.509
H 1.315 7.143 3.321
H 2.282 5.105 4.295
C 3.614 -1.560 -1.189
C 2.771 -2.366 -0.217
C 2.340 -3.657 -0.920
O 1.589 -1.589 0.078
B 1.276 -1.879 1.398
C -0.144 -1.608 1.959
C -0.581 -2.196 3.161
C -1.937 -2.216 3.485
C -2.845 -1.632 2.609
C -4.311 -1.959 2.755
F -5.094 -1.295 1.859
F -4.544 -3.298 2.559
F -4.779 -1.659 4.006
C -2.410 -0.828 1.564
C -1.054 -0.820 1.240
O 2.275 -2.486 2.137
C 3.403 -2.617 1.236
C 4.012 -3.990 1.464
C 4.437 -1.552 1.617
H 4.436 -2.181 -1.567
H 2.997 -1.249 -2.040
H 4.032 -0.659 -0.729
H 3.218 -4.210 -1.285
H 1.763 -4.327 -0.268
H 1.723 -3.420 -1.795
H 0.124 -2.687 3.825
H -2.293 -2.709 4.389
H -3.127 -0.248 0.986
H -0.724 -0.233 0.386
H 4.832 -4.179 0.757
H 4.432 -4.026 2.477
H 3.269 -4.789 1.364
H 5.367 -1.696 1.042
H 4.057 -0.535 1.439
H 4.676 -1.644 2.686
```

Computed properties:
SMILES	CC(C)C(c1ccc(C(F)(F)F)cc1)c1ccc(C(F)(F)F)cc1.CC1(C)OB(c2ccc(C(F)(F)F)cc2)OC1(C)C
energy relative to the best compared isomer or geometry (same formula, charge and spin)	0.0	kJ/mol
gap between HOMO and LUMO	10.039	eV
DFT total energy	-61900.231	eV
HOMO level	-9.76	eV
charge	0



No. 2
Here is a cluster of 2 separate species, C2H3OPS in total at a distorted geometry from the OMol25 dataset. Energies are from ωB97M-V with the def2-TZVPD basis set.

Geometry as XYZ:
```
8
Properties=species:S:1:pos:R:3
C -0.587 -1.378 -0.198
C -1.598 -0.599 -0.030
S -2.763 0.439 -0.001
H 0.322 -0.960 -0.596
H -0.698 -2.392 0.097
O 1.785 1.737 -0.935
P 2.207 1.186 0.322
H 1.333 1.969 1.341
```

Computed properties:
SMILES	C=C=S.O=P
energy relative to the best compared isomer or geometry (same formula, charge and spin)	186.0	kJ/mol
gap between HOMO and LUMO	7.746	eV
DFT total energy	-24291.408	eV
HOMO level	-8.81	eV
charge	0



No. 3
Here is a structure of composition C39H43AlClP2Si2 at a distorted geometry from the OMol25 dataset. Energies are from ωB97M-V with the def2-TZVPD basis set.

Geometry as XYZ:
```
88
Properties=species:S:1:pos:R:3
C 2.932 -2.783 1.199
+++

Anyone in their right mind, no matter how needy, would quickly have told her employer to take this job and shove it, but Christine—who really wants to be a kindergarten teacher—bravely soldiers on, doing her best to satisfy everyone’s demands, remaining pleasantly accommodating regardless of the rising tide of insanity in which she’s struggling to swim. Ultimately, of course, the worm turns, and the plot finds reasons to allow her to go from victim to victor and give her tormentors the shaft they all richly deserve.
Christina Bianco. Photo: Joan Marcus.
APPLICATION PENDING is basically an excuse for Ms. Bianco to demonstrate her extreme versatility as she makes lightning fast transitions, usually during phone conversations between Christine and whoever she’s talking to, morphing instantaneously into Southern belles, macho dudes, Jewish housewives, snooty one percenters, good old boy politicians, haughty nuns, smarmy bureaucrats, ditzy dames, and even George Clooney. Each is clearly defined, not only by vocal tone, rhythm, and accent, but by physical alterations in the way Ms. Bianco holds her head, changes her position, gestures, stands or sits, or otherwise changes her behavior. The characters, of course, are all broad cartoons, just as the play itself is little more than an extended but quite meaty“Saturday Night Live” sketch..

Some of it is truly comical, and the preview audience laughed frequently and even raucously at many points. One of the funniest characters is Edgeley’s self-described Native American administrator, a politically correct fanatic who bridles at every word Christine speaks that might somehow be considered ethnically offensive, such as “warpath” or even “chief.” A comment she delivers about “heritage enriched” kids made me blow a laugh gasket; otherwise, while the show is consistently amusing and often chuckle-worthy, the phone business begins to get repetitive and there are a few laugh-starved stretches. Nonetheless, it cracked this hard nut frequently enough to rate it one of the funniest pieces of the season.

Christine Bianco’s ability to juggles multiple plot balls in the air as she shifts effortlessly from role to role, using her phones and other props with split second timing, is a tour de force that will certainly lead to even wider attention. Her material in APPLICATION PENDING may not be for the ages, but it would be tough to find someone else who could make it work as well. Decision on applicant Christine Bianco: Application Approved.

Westside Theatre (Downstairs)
407 West 43rd Street, NYC
Open run